(See page 32)

Army Council Instructions to the General
Officer Commanding-in-Chief in the Middle


1. You are appointed General Officer Commanding-in-Chief in the Middle East.

2. The area over which your command extends in peace comprises:—

The Sudan
Palestine and Transjordan

3. In these areas you will exercise general control over all British land forces in matters of high policy in peace and will, in particular, be responsible for the review and co-ordination of war plans and plans for reinforcements in emergency, including the distribution of available land forces and material between these areas.

4. In addition you will be responsible for the preparation of all war plans, in co-operation with the local military or air force commanders, for the employment of land forces in British Somaliland, Aden, Iraq and the shores of the Persian Gulf.

5. In carrying out these tasks you will where appropriate consult and co-operate with the Naval Commander-in-Chief, Mediterranean, the Naval Commander-in-Chief, East Indies Station, the Commander-in-Chief in India, the Inspector General, African Colonial Forces, and the Air Officer Commanding-in-Chief in the Middle East.

6. You will maintain close touch with His Majesty's Ambassador in Egypt; His Majesty's Ambassador in Iraq; the Governor General in the Sudan; the High Commissioner for Palestine and Transjordan; the Governors of Cyprus, Aden and British Somaliland; and the Political Resident in the Persian Gulf.

7. The policy of His Majesty's Government with regard. to the Egyptian Forces is that they shall be developed into efficient modern forces capable of co-operating with the British Forces in the defence of Egypt. You will maintain close touch with His Majesty's Ambassador in Egypt, the Head of the British Military Mission, and the Egyptian General Staff in all matters of high policy affecting the development and employment in war of the Egyptian Army, with due regard to the existing responsibilities of the General Officer Commanding-in-Chief, Egypt, in such matters as local defence co-operation between British and Egyptian troops, and training. You will delegate to the General Officer Commanding-in-Chief,


the British Troops in Egypt, such matters as are, in your opinion, best arranged by him direct with the appropriate Egyptian authorities and, subject to the agreement of the Egyptian Government at the time, command of the Egyptian Army in war.

The agreement of the Egyptian Government to place the Egyptian Army under the command of the General Officer Commanding-in-Chief in Egypt will be obtained by His Majesty's Ambassador through whose intermediation all demands on the Egyptian Government will be made.

8. You should bear in mind that His Majesty's Ambassador must retain in all circumstances his existing position vis-a-vis the Egyptian Government. This does not exclude direct communication between the General Officer Commanding-in-Chief, British Troops in Egypt, and the Egyptian authorities on routine matters agreed by His Majesty's Ambassador.

The same considerations will apply as regards your relations with His Majesty's Diplomatic Representatives in the other countries included in the area over which your command will extend in war. In the case of Iraq, this will not preclude direct communication with the Inspector General of the Iraq Army on such matters as may be agreed by His Majesty's Ambassador to Iraq.

9. You will visit all areas which are included in war in your Command (vide paragraph 14 below) to study local situations and inform yourself of local problems.

10. Subject to the direction of the Chiefs of Staff, and of the War Office in respect of the land forces, you are responsible, in conjunction with the Naval Commander-in-Chief, Mediterranean, the Naval Commander-in-Chief, East Indies Station, and the Air Officer Commanding-in-Chief, Middle East, for co-ordinating the British war plans with the war plans of Allies of His Majesty's Government in the Near and Middle East and North Africa.

This will involve at present co-ordination with the French military authorities in North Africa, Syria and French Somaliland; the Turkish General Staff; and possibly ultimately the Greek and Rumanian General Staffs.

You will arrange to exchange visits with these authorities as may be required.

11. To assist you in these tasks you will be provided with a staff for your own use. Of this Staff, the Senior General Staff Officer will also be a member of the Joint Planning Staff for the Middle East, which will include the Chief Staff Officers of the Commander-in-Chief, Mediterranean, and the Air Officer Commanding-in-Chief, Middle East.

The Joint Planning Staff will be responsible for inter-service coordination of all war plans as may be directed by the Commanders concerned, namely, the Commander-in-Chief, Mediterranean, the Commander-in-Chief, East Indies, the Air Officer Commanding-in-Chief, Middle East, and yourself.

The composition of the staffs of your headquarters and of the Joint Planning Staff is shown in the Annexure to these instructions.

12. Your requirements as regards intelligence will be provided by the Middle East Intelligence Centre, which is being established in Cairo.


The charter for this Centre, as approved by the Committee of Imperial Defence, was issued to all concerned under War Office letter No. 0160/2133 (M.I.2) dated 30th June 1939.

13. Your headquarters will be located at Cairo.

14. Should war break out the area of your Command will be extended to include all military forces in British Somaliland, Aden, Iraq and the shores of the Persian Gulf, with the exception of those which are normally under the control of the Royal Air Force.

15. Your tasks in war are to co-ordinate (in consultation with the Air Officer Commanding-in-Chief, Middle East, for matters affecting Iraq and Aden) the action of the land forces in the areas under your command and the distribution of available resources between them. You will be guided by the policy for the conduct of operations which will be communicated to you from time to time.

You will co-ordinate the operations of the forces under your command with the operations of the various allied forces in the areas mentioned in paragraph 10.

For this purpose you will work in direct co-operation with allied military commanders concerned.

By command of the Army Council,
(Sgd.) H. J. CREEDY.

The War Office,
    24th July 1939.


  1. Staff of the General Officer Commanding-in-Chief, Middle East.
1 Brigadier, General Staff.
1 General Staff Officer, Grade 2.
2 General Staff Officers, Grade 3 (including 1 for Joint Planning Staff).
1 Administrative Staff Officer.

== Crystal structures, as found in the file ==
=====
PrTm2Tc: relaxed, PBE.

Spin magnetization   0.00 Bohr magnetons per cell
Formation energy   -33 meV per atom
Energy above the most stable polymorph in this dataset   43.8 meV/atom
E   -6.055 eV/atom

```
PrTm2Tc
1.0
3.429 0.000 0.000
0.000 3.429 0.000
0.000 0.000 9.111
Pr Tm Tc
1 2 1
Cartesian
0.000 0.000 0.000 Pr
1.714 1.714 2.930 Tm
1.714 1.714 6.181 Tm
0.000 0.000 4.556 Tc
```

----------

Entry 1:
Below is a geometry-optimized Ca2Y2Cd structure, with properties calculated at the PBE-GGA level.

The structure in POSCAR format:
```
Ca2Y2Cd
1.0
7.935 0.000 0.000
0.000 7.935 0.000
0.000 0.000 5.683
Ca Y Cd
4 4 2
direct
0.164 0.336 0.000
0.336 0.836 0.000
0.664 0.164 0.000
0.836 0.664 0.000
0.146 0.646 0.500
0.354 0.146 0.500
0.646 0.854 0.500
0.854 0.354 0.500
0.000 0.000 0.500
0.500 0.500 0.500
```

Output
- DFT formation energy (eV per atom) = 0.15
- E above lowest polymorph (eV per atom) = 0.000
- space-group type = P4/mbm (127)

---

Entry 2:
Below is a geometry-optimized La6PRh2I3 structure, with properties calculated at the PBE-GGA level.

The structure in POSCAR format:
```
La6PRh2I3
1.0
3.718 -6.443 0.000
3.718 6.443 0.000
-2.460 0.000 8.115
La P Rh I
6 1 2 3
direct
0.096 0.436 0.811
0.222 0.222 0.190
0.436 0.096 0.811
0.564 0.904 0.189
0.778 0.778 0.810
0.904 0.564 0.189
0.500 0.500 0.000
0.167 0.833 0.000
0.833 0.167 0.000
0.000 0.000 0.500
0.335 0.665 0.500
0.665 0.335 0.500
```

Output
- E_form (uncorrected) (eV per atom) = -1.1287
- space-group type = C2/m (12)

---

Entry 3:
Below is a geometry-optimized Ca2InB structure, with properties calculated at the PBE-GGA level.

The structure in POSCAR format:
```
Ca2InB
1.0
7.213 0.000 0.000
0.000 7.213 0.000
0.000 0.000 7.213
Ca In B
8 4 4
direct
0.250 0.250 0.250
0.250 0.250 0.750
0.250 0.750 0.250
0.250 0.750 0.750
0.750 0.250 0.250
0.750 0.250 0.750
0.750 0.750 0.250
0.750 0.750 0.750
0.000 0.000 0.000
0.000 0.500 0.500
0.500 0.000 0.500
0.500 0.500 0.000
0.000 0.000 0.500
0.000 0.500 0.000
0.500 0.000 0.000
0.500 0.500 0.500
```

Output
- DFT formation energy (eV per atom) = 0.31
- E above lowest polymorph (eV per atom) = 0.000
- space-group type = Fm-3m (225)

---

Entry 4:
Below is a geometry-optimized BaRe2Hg structure, with properties calculated at the PBE-GGA level.

The structure in POSCAR format:
```
BaRe2Hg
1.0
3.584 0.000 0.000
0.000 4.486 0.000
0.000 0.000 10.350
Ba Re Hg
2 4 2
direct
0.000 0.000 0.000
0.500 0.500 0.000
0.000 0.500 0.279
0.000 0.500 0.721
0.500 0.000 0.279
0.500 0.000 0.721
0.000 0.000 0.500
0.500 0.500 0.500
```

Output
- DFT formation energy (eV per atom) = 1.42
- space-group type = Cmmm (65)

---

Entry 5:
Below is a geometry-optimized Nb6AlSi structure, with properties calculated at the PBE-GGA level.

The structure in POSCAR format:
```
Nb6AlSi
1.0
5.170 0.000 0.000
0.000 5.170 0.000
0.000 0.000 5.170
Nb Al Si
6 1 1
direct
0.000 0.253 0.500
0.000 0.747 0.500
0.253 0.500 0.000
0.500 0.000 0.253
0.500 0.000 0.747
0.747 0.500 0.000
0.000 0.000 0.000
=====
== The page goes on ==

  2. Joint Planning Staff.
Chief Staff Officer to Commander-in-Chief, Mediterranean.
1 Naval Staff Officer.
Brigadier, General Staff, Middle East.
1 General Staff Officer, Grade 3.
Senior Air Staff Officer, Middle East.
1 Air Staff Officer.



Chronology * Appendix II

Someone pasted calculated crystals at this point =
=====
No. 1
Computed, not measured: a relaxed Hf4ZnSnN2 crystal at the PBE level of DFT.

```
Hf4ZnSnN2
1.0
3.2442 0.0000 0.0000
-1.6221 2.8096 0.0000
0.0000 0.0000 14.1774
Hf Zn Sn N
4 1 1 2
Direct
0.0000 0.0000 0.1557
0.0000 0.0000 0.8443
0.3333 0.6667 0.3307
0.3333 0.6667 0.6693
0.3333 0.6667 0.0000
0.0000 0.0000 0.5000
0.6667 0.3333 0.2408
0.6667 0.3333 0.7592
```

***

No. 2
Computed, not measured: a relaxed Hf4Zr2Sn3N3 crystal at the PBE level of DFT.

```
Hf4Zr2Sn3N3
1.0
4.9179 -2.8384 0.0000
4.9179 2.8384 0.0000
-3.2784 0.0000 14.5945
Hf Zr Sn N
8 4 6 6
Direct
0.0237 0.1993 0.0848
0.1419 0.3052 0.4152
0.1993 0.0237 0.5848
0.3052 0.1419 0.9152
0.6948 0.8581 0.0848
0.8007 0.9763 0.4152
0.8581 0.6948 0.5848
0.9763 0.8007 0.9152
0.3660 0.5298 0.0873
0.4702 0.6340 0.4127
0.5298 0.3660 0.5873
0.6340 0.4702 0.9127
0.0781 0.9219 0.2500
0.2490 0.4138 0.7490
0.4138 0.2490 0.2490
0.5862 0.7510 0.7510
0.7510 0.5862 0.2510
0.9219 0.0781 0.7500
0.0000 0.5000 0.0000
0.1520 0.6737 0.5000
0.3263 0.8480 0.0000
0.5000 0.0000 0.5000
0.6737 0.1520 0.0000
0.8480 0.3263 0.5000
```

***

No. 3
Computed, not measured: a relaxed HfZrSnN crystal at the PBE level of DFT.

```
HfZrSnN
1.0
3.2938 0.0000 0.0000
-1.6469 2.8525 0.0000
0.0000 0.0000 14.6101
Hf Zr Sn N
2 2 2 2
Direct
0.0000 0.0000 0.1634
0.0000 0.0000 0.8366
0.6667 0.3333 0.3350
0.6667 0.3333 0.6650
0.0000 0.0000 0.5000
0.6667 0.3333 0.0000
0.3333 0.6667 0.2441
0.3333 0.6667 0.7559
```

***

No. 4
Computed, not measured: a relaxed HfZr3Sn2N2 crystal at the PBE level of DFT.

```
HfZr3Sn2N2
1.0
3.3058 0.0000 0.0000
-1.6529 2.8629 0.0000
0.0000 0.0000 14.6577
Hf Zr Sn N
1 3 2 2
Direct
0.0000 0.0000 0.0000
0.0000 0.0000 0.6716
0.6667 0.3333 0.1706
0.6667 0.3333 0.4988
0.0000 0.0000 0.3346
0.6667 0.3333 0.8367
0.3333 0.6667 0.0801
0.3333 0.6667 0.5848
```

***

No. 5
Computed, not measured: a relaxed Sr2HfWN6 crystal at the PBE level of DFT.

```
Sr2HfWN6
1.0
2.8783 1.6618 4.8590
-2.8783 1.6618 4.8590
0.0000 -3.3236 4.8590
Sr Hf W N
2 1 1 6
Direct
0.2486 0.2486 0.2486
0.7514 0.7514 0.7514
0.0000 0.0000 0.0000
0.5000 0.5000 0.5000
0.2557 0.7431 0.2601
0.2569 0.7399 0.7443
0.2601 0.2557 0.7431
0.7399 0.7443 0.2569
0.7431 0.2601 0.2557
0.7443 0.2569 0.7399
```

***

No. 6
Computed, not measured: a relaxed Hf2TaN3 crystal at the PBE level of DFT.

```
Hf2TaN3
1.0
5.3226 0.0000 0.0000
-2.6613 4.6095 0.0000
0.0000 0.0000 3.0271
Hf Ta N
2 1 3
Direct
0.3333 0.6667 0.0000
0.6667 0.3333 0.0000
0.0000 0.0000 0.5000
0.0000 0.5000 0.5000
0.5000 0.0000 0.5000
0.5000 0.5000 0.5000
```

***

No. 7
Computed, not measured: a relaxed Hf2Ta4Tl3N3 crystal at the PBE level of DFT.

```
Hf2Ta4Tl3N3
1.0
4.8519 -2.8183 0.0000
4.8519 2.8183 0.0000
-3.1667 0.0000 14.2933
Hf Ta Tl N
4 8 6 6
Direct
0.0273 0.8580 0.5871
0.1420 0.9727 0.9129
0.8580 0.0273 0.0871
0.9727 0.1420 0.4129
0.1930 0.3663 0.0773
0.3161 0.4653 0.4229
0.3663 0.1930 0.5773
0.4653 0.3161 0.9229
0.5347 0.6839 0.0771
0.6337 0.8070 0.4227
0.6839 0.5347 0.5771
=====

Transcribed and formatted for HTML by David Shepherd for the HyperWar Foundation